Tuesday, June 06, 2006

Nanny Bans St George

Nanny Bans St George
Following on from yesterday's article about Nanny banning a two year old from wearing an England T shirt, it seems that Nanny has gone into overdrive this summer in regard of her hatred of St George and his flag.

Throughout the land, Nanny's trolls have been working hard to eliminate the flag of St George.

Why is that?

Many reasons have been cited:
  • Nanny's dislike of the English

  • Nanny's dislike of patriotism

  • Nanny's fear of extremist Muslims, eg Anjem Choudary, a former leader of the Islamic extremist group Al-Muhajiroun, has claimed:

    "The cross does represent Christianity and for Muslims it also represents a crusader history of occupation and murder."
Anyhoo, whatever her reason, Nanny is busy banning St George:
  • Cable company NTL have ordered their van drivers and subcontractors to remove their flags in case they offend Muslims.


    "We work in many multicultural areas and in different countries within Britain so we want to maintain a professional image and a sense of impartiality."


    We live and work in Britain, therefore we are perfectly entitled to wave our own country's flag.

  • Bosses at Heathrow's Terminal 5 have banned construction workers from flying the flag, health and safety issues there!

  • Taxi drivers in Blackpool are banned from flag flying and from wearing England T shirts, lest they upset foreign visitors.

  • Taxi drivers in Cheltenham are banned from flag flying, seemingly the council believe that they will fall off and cause an accident. The police want to ban all motorists from flag flying, lest they frighten the horses (yes that really is what they said!).

  • Fireman in Barking cannot fly the flag at their station, even though the local Mosque has said it is fine with them.
Nanny is totally overeacting to this harmless practice, she should devote her time to more important issues.


  1. Anonymous1:20 PM

    Could the real reason be that half the goverment are Scottish?

  2. Oddly I saw a car drive past with an Iranian flag flying this morning. I wonder if Nanny will ban the flying of other nations flags for the same spurious reasons. Somehow I doubt it.

  3. Anonymous6:49 PM

    I've just seen a car driving along Upper Richmond Road with an English flag on one side and a Ghananian flag on the other. (And in a splenid example of multiculturalism, yesterday I noted "Al Sayeed's Polish Delicatessen" just outside Hounslow!)

# Inserted here: calculated crystals
- - -
Record 1
Cs2MnO4 (PBE+U, optimized geometry); V = 22.4 A^3/atom; DFT total energy = -5.493 eV per atom; total energy after the MP2020 corrections = -6.1243 eV per atom
1.0
6.4100 0.0000 0.0000
0.0000 8.5789 0.0000
0.0000 0.0000 11.3908
Cs Mn O
8 4 16
Cartesian
4.8075 5.7395 6.7054 Cs
1.6025 2.8395 4.6854 Cs
4.8075 1.4500 10.3808 Cs
1.6025 7.1289 1.0100 Cs
4.8075 8.4702 3.4914 Cs
1.6025 0.1087 7.8994 Cs
4.8075 4.1807 2.2040 Cs
1.6025 4.3982 9.1869 Cs
4.8075 2.0257 6.6114 Mn
1.6025 6.5533 4.7794 Mn
4.8075 6.3151 10.4748 Mn
1.6025 2.2638 0.9161 Mn
4.8075 0.3651 6.6611 O
1.6025 8.2139 4.7297 O
4.8075 4.6545 10.4252 O
1.6025 3.9244 0.9657 O
4.8075 2.5089 5.0106 O
1.6025 6.0701 6.3803 O
4.8075 6.7983 0.6848 O
1.6025 1.7806 10.7060 O
6.1632 2.6324 7.3713 O
2.9582 5.9465 4.0195 O
3.4518 6.9219 9.7150 O
0.2468 1.6570 1.6759 O
0.2468 5.9465 4.0195 O
3.4518 2.6324 7.3713 O
2.9582 1.6570 1.6759 O
6.1632 6.9219 9.7150 O

=====

Record 2
Li7Co5O12 (PBE+U, optimized geometry); V = 8.7 A^3/atom; DFT total energy = -5.516 eV per atom; total energy after the MP2020 corrections = -6.2010 eV per atom; magnetic moment = 0.4 μB per formula unit
1.0
-2.0987 1.9693 4.1132
-5.3933 1.6367 -1.4787
-4.1947 -5.9233 2.6272
Li Co O
7 5 12
Cartesian
-1.0493 0.9847 2.0566 Li
-4.7940 -2.1433 0.5743 Li
-5.1780 0.4000 -0.7537 Li
-5.6682 -2.4364 3.3105 Li
-6.0185 0.1191 1.9512 Li
-6.5086 -2.7173 6.0154 Li
-3.7460 1.8030 1.3173 Li
-7.0965 -3.8720 1.2459 Co
-4.5902 1.5548 4.0158 Co
-3.3623 -0.6612 2.6491 Co
-2.0973 -2.9616 1.3136 Co
-8.3244 -1.6561 2.6126 Co
-10.0374 -1.3639 3.6902 O
-4.1108 -0.2223 0.9402 O
-8.7100 -3.5367 2.1149 O
-5.0576 -0.3144 3.6995 O
-5.4338 2.1591 2.4834 O
-3.7676 -2.6893 2.3427 O
-1.6493 -0.9534 1.5714 O
-7.5759 -2.0950 4.3215 O
-7.9191 0.3720 2.9189 O
-6.2529 -4.4764 2.7783 O
-6.6291 -2.0029 1.5622 O
-2.9767 1.2194 3.1467 O

=====

Record 3
EuVO4 (PBE+U, optimized geometry); V = 14.8 A^3/atom; DFT total energy = -8.611 eV per atom; total energy after the MP2020 corrections = -9.3527 eV per atom
1.0
3.6977 3.6977 3.2441
-3.6977 -3.6977 3.2441
3.6977 -3.6977 -3.2441
Eu V O
2 2 8
Cartesian
0.0000 0.0000 3.2441 Eu
0.0000 -3.6977 1.6220 Eu
3.6977 0.0000 1.6220 V
0.0000 0.0000 0.0000 V
-2.3542 -3.6977 2.1367 O
3.6977 -1.3435 0.5146 O
0.0000 -2.3542 3.7587 O
2.3542 -3.6977 2.1367 O
0.0000 -6.0519 1.1074 O
2.3542 0.0000 2.7294 O
1.3435 -3.6977 -0.5146 O
0.0000 -1.3435 1.1074 O

=====

Record 4
LiCoPO4 (PBE+U, optimized geometry); V = 12.6 A^3/atom; DFT total energy = -6.631 eV per atom; total energy after the MP2020 corrections = -7.2575 eV per atom; magnetic moment = 3.0 μB per formula unit
1.0
5.3211 0.0000 0.0000
0.0000 8.0936 0.0000
0.0000 2.1536 8.1894
Li Co P O
4 4 4 16
Cartesian
4.5177 0.4138 0.5970 Li
3.5468 5.7301 6.3856 Li
0.8034 1.4906 4.6917 Li
1.7742 4.6534 2.2909 Li
1.7897 1.5220 1.6900 Co
3.5314 2.5988 5.7847 Co
4.3895 5.9688 3.1513 Co
0.9316 7.0456 7.2460 Co
4.4153 2.8030 2.7091 P
3.5737 6.1193 0.0754 P
1.7473 7.1961 4.1702 P
0.9058 3.8798 6.8038 P
- - -
# The calculated crystals stop here

  4. Nanny is being wholly complicit in the leftist attack on our British values and traditions. Do read this article, which, although is about American values and culture, applies equally to ours here in Britain.


    My whole attitude is, if I want to fly a St George flag, I will, and bugger what Nanny thinks!!!

  5. Anonymous1:48 PM

    Ken wrote

    "Fireman in Barking cannot fly the flag at their station, even though the local Mosque has aid it is fine with them."

    Assuming your spell checker has inadvertently substituted "Barking" for "Basra" is seems to me entirely reasonable that the miltary firemen in Iraq should be wary of flying the England flag - if for no other reason than it gives a target to aim at.

    On the other hand if the spell checker has not substitute Barking for Basra then I wonder at the need for anyone to ask the opinion of a local religious organisation. Indeed one might suggest that such an organisation should perhaps be requested to demonstrate their allegiance to the land in which they reside by displaying the flag themselves.

    On the other hand the entire public display always gets so out of hand that I would welcome a blanket ban on all flag flying and national emblem presentations (any nation, any emblem) in perpetuity.

    Emblems related to architecture to be included.

    If people wish to have a full integrated multicultural society without local allegiance then all things that imply national alignment should be discouraged.

    The Football World cup is a prime example. How irrelevant can it be when most of the players play each other weekly for their clubs in Europe? National identity in football has no meaning in this century. I could suggest that International Cricket is not too far behind in that respect.

    (Are we sure there is no justification for banning football? Security and terrorism risk or something like that? Has to be something ...)

  6. Anonymous5:12 PM

    Ahh got to love the British sense of patriotism. I´m in Brasil at the moment, and right now 90% of people are walking around in "Brasil" T-shirts (approximately 40% increase brought on by the world cup), every other street is decorated in yellow and green, and flags are flying from every window. Brasilians love Brasil-after all, why would you live anywhere else?

    Oh, and it´s pretty multicultural too...having been colonised by practically everyone in Europe. The government´s corrupt, there´s no welfare state, the education is terrible, but hell, at least there´s a genuine sense of community here!
